Waddentools - Swimway Waddenzee granted

The Wadden Sea is home to a large number of fish species, but in recent decades populations have steeply declined. The shallow area provides shelter, food, spawning or living habitat in at least one of the life stages of these fish species. Similar to the crossroads function for birds (compare Wadden Sea Flyway Initiative), the Wadden Sea forms a junction along the life trajectories of fish. Yet, compared to birds in the Wadden Sea, fish are less well studied and received far less research attention. As for birds, a decline in fish populations may be caused by factors acting within the Wadden Sea or elsewhere along their migrations and in their life cycle. It is therefore crucial to identify the factors that hamper fish either within or outside the Wadden Sea.
This is the primary aim of the newly granted project Waddentools – Swimway Waddenzee, which directly derives from the trilateral Swimway Action Programme. In the next five years (2020-2024) a consortium consisting of the Waddenvereniging, Wageningen Marine Research, NIOZ Royal Netherlands Institute for Sea Research, and the University of Groningen will engage in this large scale project that aims to translate the outcome of fundamental questions tackled by solid scientific research into concrete management advice and measures. Rijkswaterstaat, the Ministry of Agriculture, Nature and Food quality, Sportvisserij Nederland, het Groninger Landschap and the program Towards a rich Wadden Sea are also involved in the project.
Capitalising on the large number of management measures already taken and still to be taken, effects of e.g. salt marsh management, sluice management and fisheries closures will be evaluated and measured. This knowledge will enable the optimisation of measures taken especially for fish.
-- begin --
The following is a calculated PXRD pattern of Sm4Ho15Tm. It was derived from the GGA-PBE geometry in Alexandria, using λ = 1.5418 Å (Cu Kα).
No peak broadening, texture or thermal motion is included.

Top 8 peaks for 10 to 90 degrees two-theta, sorted by position:
two_theta, intensity
30.9, 100
35.9, 51
51.6, 36
61.4, 43
64.4, 12
84.3, 18
87.0, 6
87.0, 11

Atomic structure:
```
data_Sm4Ho15Tm
_chemical_formula_sum 'Sm4 Ho15 Tm1'
_cell_length_a 5.0106
_cell_length_b 5.0106
_cell_length_c 25.0183
_cell_angle_alpha 90.00
_cell_angle_beta 90.00
_cell_angle_gamma 90.00
_space_group_name_H-M_alt 'P 1'
_space_group_IT_number 1
loop_
_space_group_symop_operation_xyz
'x,y,z'
loop_
_atom_site_label
_atom_site_type_symbol
_atom_site_fract_x
_atom_site_fract_y
_atom_site_fract_z
Sm1 Sm 0.0000 0.0000 0.1004
Sm2 Sm 0.0000 0.0000 0.3008
Sm3 Sm 0.0000 0.0000 0.6992
Sm4 Sm 0.0000 0.0000 0.8996
Ho1 Ho 0.0000 0.5000 0.0000
Ho2 Ho 0.0000 0.5000 0.2007
Ho3 Ho 0.0000 0.5000 0.4015
Ho4 Ho 0.0000 0.5000 0.5985
Ho5 Ho 0.0000 0.5000 0.7993
Ho6 Ho 0.5000 0.0000 0.0000
Ho7 Ho 0.5000 0.0000 0.2007
Ho8 Ho 0.5000 0.0000 0.4015
Ho9 Ho 0.5000 0.0000 0.5985
Ho10 Ho 0.5000 0.0000 0.7993
Ho11 Ho 0.5000 0.5000 0.1003
Ho12 Ho 0.5000 0.5000 0.3012
Ho13 Ho 0.5000 0.5000 0.5000
Ho14 Ho 0.5000 0.5000 0.6988
Ho15 Ho 0.5000 0.5000 0.8997
Tm1 Tm 0.0000 0.0000 0.5000
```

The following is a calculated PXRD pattern of Rb2Sn3Au6. It was derived from the GGA-PBE geometry in Alexandria, using λ = 1.5418 Å (Cu Kα).
No peak broadening, texture or thermal motion is included.

Top 8 peaks for 10 to 90 degrees two-theta, sorted by position:
two_theta, intensity
12.3, 25
27.5, 100
32.9, 72
34.6, 49
37.5, 31
41.5, 39
48.5, 49
61.7, 27

Atomic structure:
```
data_Rb2Sn3Au6
_chemical_formula_sum 'Rb2 Sn3 Au6'
_cell_length_a 8.3076
_cell_length_b 8.3076
_cell_length_c 5.1824
_cell_angle_alpha 90.00
_cell_angle_beta 90.00
_cell_angle_gamma 120.00
_space_group_name_H-M_alt 'P 1'
_space_group_IT_number 1
loop_
_space_group_symop_operation_xyz
'x,y,z'
loop_
_atom_site_label
_atom_site_type_symbol
_atom_site_fract_x
_atom_site_fract_y
_atom_site_fract_z
Rb1 Rb 0.3333 0.6667 0.0000
Rb2 Rb 0.6667 0.3333 0.0000
Sn1 Sn 0.0000 0.3009 0.5000
Sn2 Sn 0.3009 0.0000 0.5000
Sn3 Sn 0.6991 0.6991 0.5000
Au1 Au 0.0000 0.1984 0.0000
Au2 Au 0.0000 0.6326 0.5000
Au3 Au 0.1984 0.0000 0.0000
Au4 Au 0.3674 0.3674 0.5000
Au5 Au 0.6326 0.0000 0.5000
Au6 Au 0.8016 0.8016 0.0000
```

The following is a calculated PXRD pattern of Li2HoCd7. It was derived from the GGA-PBE geometry in Alexandria, using λ = 1.5418 Å (Cu Kα).
No peak broadening, texture or thermal motion is included.

Top 8 peaks for 10 to 90 degrees two-theta, sorted by position:
two_theta, intensity
26.9, 26
32.8, 97
36.8, 100
39.9, 28
50.1, 29
63.8, 27
66.3, 17
87.5, 12

Atomic structure:
```
data_Li2HoCd7
_chemical_formula_sum 'Li2 Ho1 Cd7'
_cell_length_a 4.8850
_cell_length_b 4.8850
_cell_length_c 10.6995
_cell_angle_alpha 90.00
_cell_angle_beta 90.00
-- stop --
To enable the Wadden Sea fish fauna to sustain and develop optimally first knowledge on potential current bottlenecks within the life cycles of fish species needs to be extended. That requires insight into the function of fish in the food web, the function of crucial habitats in different life stages, and the potential to reach those habitats and the limitations caused by physical circumstances for certain life stages or species.
In four work packages knowledge will be developed that will help underpin future management and alleviate the pressure caused by interventions from the past: closing off the sea arms and natural marine-fresh water transitions, land reclamation and intensified fisheries.
The ambition in the Dutch Swimway project is to contribute to management measures aiming at an improvement of the fish biomass and species assemblage in the Wadden Sea, the breeding success of fish-eating birds and sustainable fisheries.